**Work order:**
Quote only the lines below with the word "per" in them, please.

**Listing:**
=====
Record 1
DFT (PBE) results for a relaxed Fe crystal.

a = 8.618 Å, b = 8.618 Å, c = 4.574 Å
α = 90.00°, β = 90.00°, γ = 90.00°
Element x y z (fractional)
Fe (0.905, 0.095, 0.500)
Fe (0.095, 0.905, 0.500)
Fe (0.405, 0.405, 0.000)
Fe (0.595, 0.595, 0.000)
Fe (0.981, 0.367, 0.500)
Fe (0.019, 0.633, 0.500)
Fe (0.481, 0.133, 0.000)
Fe (0.519, 0.867, 0.000)
Fe (0.367, 0.981, 0.500)
Fe (0.633, 0.019, 0.500)
Fe (0.133, 0.481, 0.000)
Fe (0.867, 0.519, 0.000)
Fe (0.271, 0.469, 0.500)
Fe (0.729, 0.531, 0.500)
Fe (0.771, 0.031, 0.000)
Fe (0.229, 0.969, 0.000)
Fe (0.469, 0.271, 0.500)
Fe (0.531, 0.729, 0.500)
Fe (0.031, 0.771, 0.000)
Fe (0.969, 0.229, 0.000)
Fe (0.715, 0.285, 0.246)
Fe (0.285, 0.715, 0.246)
Fe (0.215, 0.215, 0.746)
Fe (0.785, 0.785, 0.746)
Fe (0.285, 0.715, 0.754)
Fe (0.715, 0.285, 0.754)
Fe (0.785, 0.785, 0.254)
Fe (0.215, 0.215, 0.254)

Calculated formation energy = 0.1753 eV/atom
Energy above the lowest structure with this stoichiometry = 175.3 meV/atom



Record 2
DFT (PBE) results for a relaxed Fe crystal.

a = 2.578 Å, b = 2.578 Å, c = 2.578 Å
α = 60.00°, β = 60.00°, γ = 60.00°
Element x y z (fractional)
Fe (0.000, 0.000, 0.000)

Calculated formation energy = 0.1484 eV/atom
Energy above the lowest structure with this stoichiometry = 148.4 meV/atom



Record 3
DFT (PBE) results for a relaxed Fe crystal.

a = 2.459 Å, b = 2.459 Å, c = 2.460 Å
α = 109.47°, β = 109.47°, γ = 109.46°
Element x y z (fractional)
Fe (0.000, 0.000, 0.000)

Calculated formation energy = 0.0000 eV/atom
Energy above the lowest structure with this stoichiometry = 0.0 meV/atom



Record 4
DFT (PBE) results for a relaxed Fe crystal.

a = 2.490 Å, b = 2.490 Å, c = 2.394 Å
α = 90.00°, β = 90.00°, γ = 120.00°
Element x y z (fractional)
Fe (0.000, 0.000, 0.000)

Calculated formation energy = 0.4767 eV/atom
Energy above the lowest structure with this stoichiometry = 476.7 meV/atom

----------

# Pm3Nd, optimized geometry, DFT meta-GGA r2SCAN
data_Pm3Nd
_chemical_formula_sum 'Pm6 Nd2'
_cell_length_a 7.4716
_cell_length_b 7.4716
_cell_length_c 5.8466
_cell_angle_alpha 90.00
_cell_angle_beta 90.00
_cell_angle_gamma 120.00
_symmetry_space_group_name_H-M 'P 63/m m c'
_symmetry_Int_Tables_number 194
_symmetry_space_group_name_Hall '-P 6c 2c'
loop_
_atom_site_label
_atom_site_type_symbol
_atom_site_fract_x
_atom_site_fract_y
_atom_site_fract_z
_atom_site_occupancy
Pm1 Pm 0.1666 0.3333 0.2500 1
Nd1 Nd 0.3333 0.6667 0.7500 1
# * magnetization: 0.0 μB per cell
# * polymorph energy (0 for the lowest one): 5.1 meV/atom
# * energy of formation from the pure elements: 0.025 eV/atom

----------

This record from the Materials Project database describes a geometry-optimized Li4Ti3VO8 structure. The functional is GGA+U.

a = 4.139 Å, b = 6.109 Å, c = 6.900 Å
α = 88.32°, β = 90.00°, γ = 90.00°
Atoms (fractional coordinates):
O 0.500 0.075 0.101
V 0.000 0.088 0.129
Ti 0.500 0.914 0.868
O 0.500 0.599 0.852
Li 0.000 0.581 0.886
O 0.500 0.102 0.640
Li 0.500 0.922 0.383
Li 0.500 0.422 0.116
O 0.000 0.909 0.871
O 0.500 0.581 0.375
O 0.000 0.414 0.631
Li 0.000 0.073 0.614
O 0.000 0.427 0.145
Ti 0.000 0.582 0.378
Ti 0.500 0.420 0.626
O 0.000 0.890 0.384

Calculated values
Calculated formation energy ... -2.802 eV per atom
MP2020-corrected energy ... -124.825 eV/cell
Distance to the lowest polymorph of the same formula ... 0.845 eV per formula unit


This record from the Materials Project database describes a geometry-optimized Li3TiV2O6 structure. The functional is GGA+U.

a = 5.973 Å, b = 6.662 Å, c = 6.732 Å
α = 97.11°, β = 64.23°, γ = 77.05°
Atoms (fractional coordinates):
O 0.863 0.325 0.109
O 0.119 0.019 0.240
Ti 0.996 0.341 0.343
O 0.126 0.673 0.915
O 0.139 0.331 0.561
O 0.876 0.003 0.761
V 0.002 0.667 0.666
V 0.504 0.992 0.993
Li 0.753 0.996 0.502
V 0.004 0.992 0.993
V 0.502 0.668 0.666
Li 0.253 0.995 0.501
Li 0.253 0.670 0.161
O 0.884 0.649 0.409
O 0.364 0.325 0.109
Li 0.754 0.670 0.161
O 0.384 0.649 0.409
O 0.619 0.019 0.240
Li 0.747 0.335 0.840
O 0.375 0.003 0.761
=====

**Done:**
# * magnetization: 0.0 μB per cell
Calculated formation energy ... -2.802 eV per atom
Distance to the lowest polymorph of the same formula ... 0.845 eV per formula unit